Music Version of Digg: The Sixty One
Posted on 03. Jan, 2008 by The Gimcracker in Music, Stuff On The Internet
So, you are addicted to Digg like me? And you like music? Then The Sixty One is your final destination.
The Sixty One, in a nutshell, is a web site where artists post songs and everyone “bumps” (votes for) the songs they like. Then the songs move up the charts and can make it to the front page (just like Digg).You can listen and create playlists of your favorite songs, purchase songs DRM-free, get your own songs noticed, share songs (your own or others’) with other people, and level up.
What is “leveling up”? I’m glad you asked. You start with 100 points. It costs points to bump up a song. If songs that you bump get bumped a lot by other people, you get points. When you level up, your influence on the whole community increases. There’s a lot more to it than that, so check out the FAQ page to see how it all works.
Or you can just go listen to unlimited sweet new music for free. Make sure you listen to Hey Ya covered by Obadiah Parker and West Coast by Coconut Records.
What comes next are crystal structures, not part of the page
=====
Starting from DFT lattice parameters and positions (PBE+U), the X-ray powder pattern of FeF6 was computed for copper Kα.

Principal peaks in the range 15° ≤ 2θ ≤ 90°, by angle:
d 4.849, 2θ 18.30, I = 23; d 4.109, 2θ 21.63, I = 100; d 3.870, 2θ 22.98, I = 21; d 2.866, 2θ 31.21, I = 9; d 2.828, 2θ 31.63, I = 18; d 2.746, 2θ 32.61, I = 15; d 2.199, 2θ 41.04, I = 26; d 2.055, 2θ 44.07, I = 8; d 2.013, 2θ 45.04, I = 19; d 1.567, 2θ 58.92, I = 9

Atomic structure:
Cell lengths 3.0373, 9.6981, 15.4927 Å; angles 90.00, 92.21, 90.00 degrees
Space group C2/c (No. 15)
Unique sites:
1 Fe 0.2500 0.2500 0.0000
2 F 0.0544 0.0539 0.2951
3 F 0.2299 0.1701 0.8986
4 F 0.2387 0.1333 0.4641
=====
Back to the page

Sweet site, B. Since I can’t find cool things like this I’m glad I can jump on other people’s wagons. If West Coast didn’t have the out of tune choir in the back that’s a number one song. Catchy freakin’ chorus… loved it.
When will you be uploading your own songs?
I’m sad. I can’t register an account because too many people from my IP address have accounts.
How dumb.
Otherwise the site is awesome. I’ll just listen to music and not participate or buy. Their loss.
Yeah, I had never heard them before and they sort of remind me of Bright Eyes.
Too many people from your IP address? That indicates to me that your coworkers are cool at least
I’m running into that same problem as Butler. I mean… no, not at all. Uncool level runs very high here when it comes to t3h web.
Gah! I’m discovering way way too much awesome new music that I would never hear on the radio or anywhere else if it weren’t for this site!
Wow, I’m level 3 after a day. Sweet! What does that mean?
Listen to Fake Empire by The National. The guy’s voice is low and weird like Crash Test Dummies but the music is excellent and his voice really grows on you.
Dude! This site is great!! You just click a genre, push play and let it go! I’ve been listening for like 15 minutes now and like almost every one of these songs. Brilliant!
I know, I can’t believe how good they all are. I thought there would be a lot of crap mixed in, but it’s generally very professional music. And I haven’t found a single bug in the site – it works great. Not bad for 2 ex-video game developer kids.
Once again, why didn’t I think of this?!?
[...] there because it’s the best thing that has happened to me on the Intartubes since Digg. See this post for more information on [...]